The 4 Undeniable Benefits of Kitchen Remodeling and Design

Every year, $47 billion dollars are spent on home renovation projects in the United States, and 69% of these home improvement projects are kitchen renovations. And considering the benefits of kitchen remodeling and design, it comes as no surprise. If you plan on undertaking a kitchen renovation project but haven’t contacted a residential renovation contractor yet, here are 4 compelling reasons why you should remodel your kitchen today:

[The text is interrupted by records of molecules]
┌──
No. 1
The following is a quantum chemistry calculation of C30H23IN6O6Re as an isolated structure, from the Open Molecules 2025 dataset.

The HOMO energy (spin up / spin down) is -13.166 / -13.193 eV. The HOMO-LUMO gap (spin up / spin down) comes out at 6.178 / 6.092 eV. As for the spin multiplicity: 2. As for the total charge: +2.

Last column: Mulliken spin population.
Cartesian coordinates (Å):
Re1 -0.809 -0.159 0.599  0.807
C1 1.123 0.361 3.008  -0.010
N1 -0.346 0.298 2.780  0.005
C2 -1.089 -0.580 3.732  0.001
C3 -1.760 -1.666 2.966  0.016
N2 -1.762 -1.649 1.639  -0.013
C4 -2.508 -2.765 1.219  0.002
C5 -2.833 -3.222 -0.052  0.005
C6 -3.603 -4.366 -0.117  0.000
C7 -4.037 -5.035 1.038  0.001
C8 -3.717 -4.584 2.303  0.002
C9 -2.943 -3.434 2.359  0.001
N3 -2.448 -2.699 3.444  0.010
C10 1.807 -0.378 1.908  0.029
N4 1.142 -0.821 0.849  0.032
C11 2.084 -1.445 0.011  -0.002
C12 1.950 -2.119 -1.200  0.004
C13 3.106 -2.613 -1.771  0.000
C14 4.360 -2.458 -1.162  0.000
C15 4.498 -1.813 0.050  0.002
C16 3.333 -1.315 0.616  -0.003
N5 3.107 -0.642 1.818  0.010
H1 1.395 -0.054 3.980  -0.001
H2 1.452 1.402 2.986  0.001
H3 -0.713 1.239 2.889  -0.001
H4 -1.839 0.011 4.261  0.003
H5 -0.414 -0.994 4.482  0.000
H6 -2.505 -2.704 -0.941  0.004
H7 -3.886 -4.757 -1.084  0.000
H8 -4.640 -5.926 0.933  0.000
H9 -4.054 -5.097 3.192  0.000
H10 -2.601 -2.909 4.419  0.000
H11 0.989 -2.278 -1.667  0.001
H12 3.042 -3.143 -2.711  0.000
H13 5.236 -2.862 -1.649  0.000
H14 5.459 -1.704 0.531  0.000
H15 3.813 -0.340 2.473  0.000
O1 -3.169 2.618 -0.545  0.014
C17 -2.181 2.520 0.108  0.016
O2 -1.940 1.315 0.778  0.012
C18 -1.177 3.597 0.323  -0.002
C19 -1.515 4.889 -0.081  0.000
C20 -0.612 5.929 0.078  0.000
C21 0.644 5.694 0.620  0.000
C22 0.958 4.402 1.004  0.002
C23 0.071 3.356 0.873  0.013
N6 2.299 4.105 1.541  0.000
O3 2.525 2.944 1.873  0.000
O4 3.095 5.004 1.609  0.000
H16 -2.490 5.064 -0.516  0.000
H17 -0.884 6.930 -0.226  0.000
H18 1.370 6.486 0.740  0.000
H19 0.397 2.365 1.139  0.001
I1 1.024 0.804 -7.913  0.003
C24 0.604 0.606 -5.895  0.011
C25 -0.200 -0.447 -5.460  -0.005
C26 -0.481 -0.580 -4.116  0.006
C27 0.045 0.341 -3.204  0.009
C28 0.847 1.399 -3.646  0.008
C29 1.125 1.531 -4.990  -0.004
C30 -0.235 0.207 -1.800  0.019
O5 0.168 1.003 -0.896  -0.014
O6 -0.943 -0.784 -1.307  0.007
H20 -0.605 -1.151 -6.173  0.000
H21 -1.116 -1.383 -3.770  0.000
H22 1.243 2.108 -2.932  0.000
H23 1.743 2.344 -5.342  0.000

***

No. 2
The following is a quantum chemistry calculation of C30H23IrN11OS as an isolated structure, from the Open Molecules 2025 dataset.

The HOMO energy (spin up / spin down) is -15.805 / -15.908 eV. The HOMO-LUMO gap (spin up / spin down) comes out at 7.393 / 4.506 eV. As for the spin multiplicity: 5. As for the total charge: +3.

Last column: Mulliken spin population.
Cartesian coordinates (Å):
Ir1 -0.014 0.228 0.170  2.579
N1 -2.000 3.873 -0.421  0.018
C1 -0.805 4.419 -0.878  -0.012
C2 -0.448 5.716 -1.225  0.005
C3 0.861 5.903 -1.612  -0.002
└──

Kitchen Renovations Increase Your Home Value

A typical kitchen remodeling job, including new cabinets, appliances, refurbished counters, hardware, flooring and paint cost a nationwide average of $18,856. While this may seem like a pretty penny, kitchen remodeling and design can yield a return of investment (ROI) from anywhere between 75-100%. A new, up-to-date kitchen with modern appliances and quality design and construction is extremely appealing to a potential buyer, and will make your home worth more in the long run.

They Improve Your Health and Cooking Skills

Record 1

With the hustle and bustle of everyday life, enjoying a healthy, home cooked meal can be difficult if things aren’t made easy for you. When your kitchen is out of date, broken down, and lacks the proper appliances to prepare meals quickly and efficiently, it can act as a true deterrent to cooking and a dependency on unhealthy takeout.Kitchen remodeling and design can help to create a beautiful yet efficient environment that invites easy meal preparation, resulting in better health in the long-term and a chance to spruce up those culinary skills!

A Remodel Can Create A Safer Home

Outdated appliances and hardware can pose major safety threats for your home. For example, if your refrigerator is not functioning properly, your food may be at insufficient temperatures and continually unsafe to eat. If your electric burner is damaged or outdated, this could be a threat to fire safety, as well as the safety of those operating the burner. Home renovation services are experts in assessing the quality and effectiveness of your current appliances, and should be able to help you find the hardware and appliances that are safest and most effective for your kitchen.

# Quantum chemistry results, kept here for reference
=====
The following is a DFT calculation (wB97M-V/def2-TZVPD) of a 9-piece molecular cluster, C29H54O27 overall at a distorted geometry.

Geometry as ORCA input:
```
! RIJCOSX wB97M-V def2-TZVPD def2/J DEFGRID3
* xyz 0 1
C -5.6859 3.6545 3.7151
C -4.3491 4.3187 3.4228
C -3.4516 4.4508 4.6724
O -2.2213 3.8846 4.2408
C -2.3729 3.2472 3.0677
O -1.5213 2.6270 2.5298
O -3.5945 3.4849 2.5197
H -6.0487 4.0766 4.6556
H -5.5274 2.5889 3.8913
H -6.4041 3.7751 2.9110
H -4.5011 5.3070 2.9869
H -3.8964 3.9283 5.5201
H -3.3225 5.4914 4.9530
C 1.5877 0.8065 3.0885
C 2.7720 1.2149 3.9068
C 2.4135 2.2556 4.9889
O 3.2128 1.8755 6.0997
C 3.7446 0.6360 5.8855
O 4.5228 0.1257 6.6010
O 3.2570 0.1201 4.7501
H 1.2159 1.6126 2.4475
H 0.7320 0.5357 3.7100
H 1.8084 -0.0045 2.3896
H 3.6422 1.5328 3.3257
H 1.3510 2.3228 5.2154
H 2.7252 3.2201 4.5771
C 1.8361 -1.8528 -6.7766
O 2.1554 -0.4709 -6.6601
C 1.9577 0.0999 -5.4618
O 1.9776 -0.5163 -4.4221
O 1.9525 1.4088 -5.6367
C 1.8454 2.2046 -4.4599
H 0.8286 -2.0554 -6.4010
H 2.5347 -2.4326 -6.1710
H 1.8512 -2.1321 -7.8221
H 1.4057 3.1664 -4.7052
H 2.8286 2.3812 -4.0273
H 1.2012 1.7293 -3.7255
C -2.9135 -0.5272 -2.3040
O -3.5820 0.6717 -2.6464
C -4.1811 1.4041 -1.7270
O -4.5037 2.5248 -1.9482
O -4.4247 0.7205 -0.5900
C -4.9740 1.4403 0.4998
H -2.4230 -0.9017 -3.2033
H -3.5000 -1.3466 -1.9013
H -2.0594 -0.2521 -1.6771
H -6.0287 1.1521 0.6193
H -5.0753 2.5033 0.2874
H -4.4944 1.2812 1.4569
C 1.0730 -7.4284 -2.4570
O 2.2346 -7.4033 -3.3075
C 2.3469 -6.4404 -4.1864
O 1.4991 -5.6755 -4.5058
O 3.5414 -6.5264 -4.7429
C 3.9166 -5.4760 -5.5950
H 0.2161 -7.7483 -3.0438
H 0.8863 -6.4459 -2.0272
H 1.3522 -8.1280 -1.6798
H 3.2630 -5.4272 -6.4678
H 4.9504 -5.6308 -5.8727
H 3.8295 -4.4957 -5.1178
C 6.0570 -0.2880 2.4452
O 5.2140 0.0587 1.3614
C 5.8047 0.3806 0.2091
O 6.9759 0.3475 -0.0166
O 4.9208 0.7422 -0.7163
C 3.5272 0.4921 -0.5195
H 7.0531 0.1229 2.3267
H 6.0445 -1.3651 2.6162
H 5.6279 0.1055 3.3715
H 2.9758 0.7298 -1.4275
H 3.0570 1.1570 0.2167
H 3.3304 -0.5291 -0.1990
C -4.4291 -2.0028 3.0563
O -5.1105 -2.0968 1.7917
C -5.8592 -3.1968 1.6278
O -6.0458 -4.0531 2.4283
O -6.4136 -3.2486 0.4175
C -6.3680 -2.1242 -0.4349
H -4.2158 -0.9494 3.2346
H -3.5099 -2.5902 3.0261
H -5.0129 -2.3443 3.9116
H -6.9881 -2.2946 -1.3153
H -5.4000 -2.0238 -0.9408
H -6.6307 -1.2274 0.1118
C 4.1717 4.5443 0.0546
O 2.9760 4.1567 -0.6154
C 2.0101 3.6314 0.1095
O 2.0877 3.2728 1.2512
O 0.9653 3.4767 -0.6702
C -0.2073 2.9298 -0.0836
H 4.8999 4.7205 -0.7302
H 4.5873 3.7364 0.6631
H 3.9976 5.4099 0.6889
H -1.0052 3.6729 -0.0951
H -0.0416 2.6122 0.9409
H -0.5085 2.0830 -0.6966
C -1.4470 -0.5308 1.2421
O -0.8529 -1.7085 0.6792
C 0.0021 -1.4951 -0.3058
O 0.4852 -0.4178 -0.5127
O 0.1950 -2.6181 -0.9397
C 0.9699 -2.7111 -2.1778
H -1.9098 0.1241 0.5094
H -0.6785 -0.0009 1.7999
H -2.1770 -0.9025 1.9526
H 0.7150 -1.9365 -2.8933
H 0.7361 -3.7026 -2.5435
H 2.0116 -2.6126 -1.8748
*
```
=====

Kitchens Create Lasting Memories

The kitchen is a space within the home where family members can come together, eat, laugh, share meals, and create memories that will last a lifetime. If you so choose to undergo kitchen remodeling and design, you have the power to create a space that will facilitate family bonding while creating new memories and traditions.

At the end of the day, your home kitchen renovation project should be convenient, energy efficient, cost effective, and of the utmost quality.